== Excerpt ==
~~~
# 1
Computed XRD peak list
Compound: Al2FeO4
Radiation: CuKα
Structure: DFT lattice parameters and positions (PBE+U)
Lines closer than 0.1° are merged.

Structural model:
```
data_Al2FeO4
_cell_length_a 5.8251
_cell_length_b 5.8251
_cell_length_c 14.3170
_cell_angle_alpha 90.00
_cell_angle_beta 90.00
_cell_angle_gamma 120.00
_space_group_name_H-M_alt 'P 3 m 1'
_space_group_IT_number 156
loop_
_space_group_symop_operation_xyz
'x,y,z'
'-y,x-y,z'
'-x+y,-x,z'
'-y,-x,z'
'-x+y,y,z'
'x,x-y,z'
loop_
_atom_site_label
_atom_site_fract_x
_atom_site_fract_y
_atom_site_fract_z
_atom_site_occupancy
Al1 0.0000 0.0000 0.0000 1
Al2 0.0000 0.0000 0.3782 1
Al3 0.0058 0.5029 0.8762 1
Al4 0.1690 0.3380 0.5434 1
Al5 0.3333 0.6667 0.7093 1
Al6 0.3400 0.1700 0.2130 1
Fe1 0.0000 0.0000 0.7526 1
Fe2 0.3333 0.6667 0.0880 1
Fe3 0.3333 0.6667 0.3323 1
Fe4 0.6667 0.3333 0.0469 1
Fe5 0.6667 0.3333 0.4213 1
Fe6 0.6667 0.3333 0.6704 1
O1 0.0000 0.0000 0.1287 1
O2 0.0000 0.0000 0.6127 1
O3 0.0446 0.5223 0.6220 1
O4 0.1427 0.2855 0.2900 1
O5 0.1880 0.3760 0.7981 1
O6 0.2916 0.1458 0.4676 1
O7 0.3333 0.6667 0.4759 1
O8 0.3333 0.6667 0.9459 1
O9 0.3351 0.1676 0.9506 1
O10 0.5107 0.0213 0.1456 1
O11 0.6667 0.3333 0.2830 1
O12 0.6667 0.3333 0.8151 1
```

Most intense lines, 10 to 80 degrees two-theta, sorted by position:
30.67 deg, I 58.1, hkl 1 1 0; 36.12 deg, I 100.0, hkl 1 1 3; 43.91 deg, I 13.3, hkl 2 0 4; 54.55 deg, I 12.4, hkl 3 0 0; 58.05 deg, I 9.1, hkl 2 0 7; 58.14 deg, I 32.9, hkl 3 0 3; 63.77 deg, I 24.9, hkl 0 2 8; 63.93 deg, I 25.8, hkl 2 2 0


# 2
Computed XRD peak list
Compound: LiZn2Fe4O8
Radiation: CuKα
Structure: DFT lattice parameters and positions (PBE+U)
Lines closer than 0.1° are merged.

Structural model:
```
data_LiZn2Fe4O8
_cell_length_a 6.2351
_cell_length_b 6.2983
_cell_length_c 8.5527
_cell_angle_alpha 90.00
_cell_angle_beta 90.00
_cell_angle_gamma 90.00
_space_group_name_H-M_alt 'I m m 2'
_space_group_IT_number 44
loop_
_space_group_symop_operation_xyz
'x,y,z'
'-x,-y,z'
'-x,y,z'
'x,-y,z'
'x+1/2,y+1/2,z+1/2'
'-x+1/2,-y+1/2,z+1/2'
'-x+1/2,y+1/2,z+1/2'
'x+1/2,-y+1/2,z+1/2'
loop_
_atom_site_label
_atom_site_fract_x
_atom_site_fract_y
_atom_site_fract_z
_atom_site_occupancy
Li1 0.0000 0.0000 0.0000 1
Zn1 0.0000 0.2785 0.8726 1
Fe1 0.0000 0.0000 0.4944 1
Fe2 0.0000 0.5000 0.2509 1
Fe3 0.2126 0.5000 0.6319 1
O1 0.0000 0.2386 0.1211 1
O2 0.0000 0.2515 0.6274 1
O3 0.2442 0.5000 0.8666 1
O4 0.2486 0.0000 0.8893 1
```

Most intense lines, 10 to 80 degrees two-theta, sorted by position:
17.60 deg, I 25.1, hkl 1 0 1; 29.02 deg, I 51.7, hkl 1 1 2; 33.56 deg, I 100.0, hkl 1 2 1; 33.75 deg, I 73.8, hkl 2 1 1; 34.57 deg, I 81.0, hkl 1 0 3; 40.73 deg, I 37.0, hkl 2 2 0; 53.93 deg, I 29.7, hkl 3 2 1; 60.14 deg, I 79.3, hkl 2 2 4


# 3
Computed XRD peak list
Compound: Ba3Nd3Co6O17
Radiation: CuKα
Structure: DFT lattice parameters and positions (PBE+U)
Lines closer than 0.1° are merged.

Structural model:
```
data_Ba3Nd3Co6O17
_cell_length_a 8.6502
_cell_length_b 8.8737
_cell_length_c 11.0427
_cell_angle_alpha 108.67
_cell_angle_beta 107.15
_cell_angle_gamma 101.59
_space_group_name_H-M_alt 'P -1'
_space_group_IT_number 2
loop_
_space_group_symop_operation_xyz
'x,y,z'
'-x,-y,-z'
loop_
_atom_site_label
_atom_site_fract_x
_atom_site_fract_y
_atom_site_fract_z
_atom_site_occupancy
Ba1 0.0812 0.2510 0.0827 1
Ba2 0.2475 0.7503 0.2470 1
Ba3 0.4146 0.2473 0.4140 1
Nd1 0.0902 0.2722 0.5894 1
Nd2 0.2530 0.7428 0.7544 1
Nd3 0.4248 0.2585 0.9279 1
Co1 0.0042 0.0012 0.7455 1
Co2 0.1645 0.4993 0.4169 1
Co3 0.1686 0.4974 0.9149 1
Co4 0.3284 0.0007 0.5828 1
Co5 0.3368 0.9984 0.0810 1
Co6 0.4980 0.4984 0.2490 1
O1 0.0000 0.5000 0.0000 1
O2 0.0000 0.5000 0.5000 1
O3 0.0126 0.4965 0.7423 1
O4 0.0505 0.2347 0.3418 1
O5 0.1084 0.2397 0.8157 1
O6 0.1245 0.9992 0.4315 1
O7 0.1817 0.9993 0.1601 1
O8 0.1887 0.0003 0.8913 1
O9 0.2265 0.7742 0.5219 1
O10 0.2686 0.7498 0.9896 1
O11 0.3200 0.5000 0.5878 1
O12 0.3361 0.5020 0.8307 1
O13 0.3399 0.5066 0.3326 1
~~~

== Exercise ==
Filter the notes further above: keep the lines with the word "PBE".

== Written answer ==
Structure: DFT lattice parameters and positions (PBE+U)
Structure: DFT lattice parameters and positions (PBE+U)
Structure: DFT lattice parameters and positions (PBE+U)